=====
Calculated X-ray diffraction stick pattern of Pm6Al2Ag for Cu Ka, from a PBE-relaxed structure.

Main lines, by angle (10 to 90 degrees two-theta):
hkl	2theta	d [Å]	I/Imax
0 2 0	24.0	3.706	30
2 0 1	24.7	3.610	56
2 2 1	34.7	2.586	100
6 0 0	34.9	2.568	25
2 0 -2	35.4	2.538	24
6 2 0	42.8	2.111	13
2 2 -2	43.2	2.094	13
2 4 1	55.8	1.648	12
8 2 1	62.5	1.486	18
0 2 3	63.1	1.474	18

Crystal structure
Lattice parameters (Å, degrees): 16.210 7.412 5.076 90.00 108.11 90.00
Space group C2/m (No. 12)
Symmetry-distinct sites (fractional):
1 Pm 0.000 0.247 0.000 [4 per cell]
2 Pm 0.167 0.251 0.667 [8 per cell]
3 Al 0.167 0.000 0.167 [4 per cell]
4 Ag 0.000 0.500 0.500 [2 per cell]

=====

Calculated X-ray diffraction stick pattern of Pm3TlGa for Cu Ka, from a PBE-relaxed structure.

Main lines, by angle (10 to 90 degrees two-theta):
hkl	2theta	d [Å]	I/Imax
5 1 1	30.3	2.946	40
1 3 -1	31.3	2.862	50
4 0 -2	33.1	2.710	74
2 2 2	33.5	2.676	100
6 2 0	36.4	2.469	78
0 4 0	37.6	2.395	17
4 4 0	43.1	2.097	20
0 0 4	52.6	1.739	17
8 4 2	63.9	1.457	20
6 2 4	65.7	1.422	22

Crystal structure
Lattice parameters (Å, degrees): 17.288 9.579 6.956 90.00 90.01 90.00
Space group C2/c (No. 15)
Symmetry-distinct sites (fractional):
1 Pm 0.078 0.244 0.000 [8 per cell]
2 Pm 0.147 0.105 0.500 [8 per cell]
3 Pm 0.169 0.471 0.500 [8 per cell]
4 Tl 0.000 0.000 0.250 [4 per cell]
5 Tl 0.000 0.500 0.250 [4 per cell]
6 Ga 0.250 0.250 0.190 [8 per cell]

=====
=====
The reader should give back only the last part of the notes above, starting with the line that has "2.538".
2 0 -2	35.4	2.538	24
6 2 0	42.8	2.111	13
2 2 -2	43.2	2.094	13
2 4 1	55.8	1.648	12
8 2 1	62.5	1.486	18
0 2 3	63.1	1.474	18

Crystal structure
Lattice parameters (Å, degrees): 16.210 7.412 5.076 90.00 108.11 90.00
Space group C2/m (No. 12)
Symmetry-distinct sites (fractional):
1 Pm 0.000 0.247 0.000 [4 per cell]
2 Pm 0.167 0.251 0.667 [8 per cell]
3 Al 0.167 0.000 0.167 [4 per cell]
4 Ag 0.000 0.500 0.500 [2 per cell]

=====

Calculated X-ray diffraction stick pattern of Pm3TlGa for Cu Ka, from a PBE-relaxed structure.

Main lines, by angle (10 to 90 degrees two-theta):
hkl	2theta	d [Å]	I/Imax
5 1 1	30.3	2.946	40
1 3 -1	31.3	2.862	50
4 0 -2	33.1	2.710	74
2 2 2	33.5	2.676	100
6 2 0	36.4	2.469	78
0 4 0	37.6	2.395	17
4 4 0	43.1	2.097	20
0 0 4	52.6	1.739	17
8 4 2	63.9	1.457	20
6 2 4	65.7	1.422	22

Crystal structure
Lattice parameters (Å, degrees): 17.288 9.579 6.956 90.00 90.01 90.00
Space group C2/c (No. 15)
Symmetry-distinct sites (fractional):
1 Pm 0.078 0.244 0.000 [8 per cell]
2 Pm 0.147 0.105 0.500 [8 per cell]
3 Pm 0.169 0.471 0.500 [8 per cell]
4 Tl 0.000 0.000 0.250 [4 per cell]
5 Tl 0.000 0.500 0.250 [4 per cell]
6 Ga 0.250 0.250 0.190 [8 per cell]

=====